7 August 2019: UN Member States have reached agreement on the political declaration of the high-level midterm review of the implementation of the Vienna Programme of Action (VPoA) for landlocked developing countries (LLDCs). The VPoA covers the decade 2014-2024, and the midterm review meeting will convene in December 2019.

The high-level midterm review is referred to in UNGA resolution 72/232 on the follow-up to the second UN Conference on LLDCs. Per the resolution, the UNGA decides to convene a comprehensive high-level midterm review no later than December 2019. It calls on the review to: enable the sharing of best practices and lessons learned; and identify obstacles and constraints encountered, actions and initiatives needed to overcome them, and new challenges and emerging issues.

One third of LLDC populations still live in extreme poverty, and moderate to severe food insecurity persists.

Doma Tshering, Permanent Representative of Bhutan, and Jan Kickert, Permanent Representative of Austria, served as co-facilitators for the intergovernmental process to produce the midterm review political declaration, and held intergovernmental consultations on the declaration in June and July 2019. The final draft of the declaration was transmitted to UN Member States by the co-facilitators on 30 July, and was placed under silence procedure until 1 August.

On that day, UNGA President, Maria Fernanda Espinosa Garces, announced that the silence procedure on the final draft political declaration for the midterm review of the VPoA had not been broken, and later informed delegations that the declaration would be transmitted to the President of the 74th session of the UNGA for its adoption at the high-level midterm review.

The declaration calls for the review meeting to convene from 5-6 December 2019, as indicated by the UNGA President in June 2019. The text includes a call for action to accelerate the implementation of the VPoA, and invites the UNGA to consider holding the Third UN Conference on LLDCs in 2024. Per the text, Heads of State and Government, Ministers and High Representatives reaffirm their commitment to the overarching goal of the VPoA to address the special development needs and challenges of LLDCs in a more coherent manner. They further welcome efforts made by LLDCs to enhance their participation in global trade including through mainstreaming trade into their national strategies, but points to greater difficulties than coastal countries in expanding international trade.

On other challenges, the declaration notes that not enough progress has been made to achieve VPoA targets and sustainable development, and highlights that one third of LLDC populations still live in extreme poverty, the prevalence of moderate to severe food insecurity persists, and that LLDCs’ average Human Development Index (HDI) lags behind the world average. It outlines the lack reliable and regular data, and the lack of adequate financial resources and capacity constraints as key challenges faced by in their efforts to implement the VPoA and achieve sustainable development, and expresses concerns at the limited technological capabilities, low technology intensity and acquisition, and low investments into research and development in LLDCs.

### What comes next are materials data, not part of the piece
+++
Na2LiFeO4 after structural relaxation. Source: Materials Project, functional PBE with a Hubbard U.

Cell lengths 6.337, 7.740, 8.538 Å; angles 90.00, 90.00, 90.00 degrees
Positions (direct):
Na (0.739, 0.500, 0.000)
Na (0.000, 0.759, 0.242)
Na (0.500, 0.259, 0.258)
Na (0.239, 0.000, 0.500)
Na (0.761, 0.000, 0.500)
Na (0.500, 0.741, 0.742)
Na (0.000, 0.241, 0.758)
Na (0.261, 0.500, 0.000)
Li (0.500, 0.838, 0.085)
Li (0.000, 0.338, 0.415)
Li (0.000, 0.662, 0.585)
Li (0.500, 0.162, 0.915)
Fe (0.000, 0.211, 0.131)
Fe (0.500, 0.711, 0.369)
Fe (0.500, 0.289, 0.631)
Fe (0.000, 0.789, 0.869)
O (0.756, 0.201, 0.035)
O (0.244, 0.201, 0.035)
O (0.500, 0.581, 0.203)
O (0.000, 0.425, 0.199)
O (0.500, 0.925, 0.301)
O (0.000, 0.081, 0.297)
O (0.256, 0.701, 0.465)
O (0.744, 0.701, 0.465)
O (0.744, 0.299, 0.535)
O (0.256, 0.299, 0.535)
O (0.000, 0.919, 0.703)
O (0.500, 0.075, 0.699)
O (0.000, 0.575, 0.801)
O (0.500, 0.419, 0.797)
O (0.756, 0.799, 0.965)
O (0.244, 0.799, 0.965)

Computed properties:
The calculation puts the magnetic moment at 12.0 μB/cell. The calculated total energy comes out at -159.95 eV per cell. The value obtained for the formation energy is -1.52 eV/atom.


1.
Material: Mg2Si3
Method: DFT, PBE
State: optimized geometry

## Properties
Spin magnetization in μB per cell: 0.00
Space-group type: P-1 (2)
Energy relative to the elements in meV/atom: 215.4
E (MP2020) in eV per atom: -3.6799

a b c (Å): 4.0793 6.2210 16.4538
angles (deg): 80.56 87.53 78.91
Last column: nearest neighbours and their distance in Å.
Positions (direct):
Mg 0.8192 0.2667 0.9574  4 Si 2.80-2.87
Mg 0.0420 0.7308 0.5274  5 Si 2.67-2.95
Mg 0.3924 0.3060 0.7977  4 Si 2.63-2.91
Mg 0.6520 0.7576 0.7221  5 Si 2.70-2.91
Mg 0.9580 0.2692 0.4726  5 Si 2.67-2.95
Mg 0.1808 0.7333 0.0426  4 Si 2.80-2.87
Mg 0.3480 0.2424 0.2779  5 Si 2.70-2.91
Mg 0.6076 0.6940 0.2023  4 Si 2.63-2.91
Si 0.0543 0.9987 0.7781  3 Si 2.42-2.68, 2 Mg 2.63-2.71
Si 0.8645 0.3497 0.6797  3 Si 2.37-2.51
Si 0.3498 0.6443 0.8827  3 Si 2.46-2.68, 1 Mg 2.69
Si 0.3744 0.3431 0.6042  3 Si 2.35-2.41
Si 0.5505 0.0178 0.4273  2 Si 2.35-2.39
Si 0.2240 0.1397 0.0970  3 Si 2.42-2.50
Si 0.1355 0.6503 0.3203  3 Si 2.37-2.51
Si 0.9457 0.0013 0.2219  3 Si 2.42-2.68, 2 Mg 2.63-2.71
Si 0.6256 0.6569 0.3958  3 Si 2.35-2.41
Si 0.6502 0.3557 0.1173  3 Si 2.46-2.68, 1 Mg 2.69
Si 0.7760 0.8603 0.9030  3 Si 2.42-2.50
Si 0.4495 0.9822 0.5727  2 Si 2.35-2.39

2.
Material: Mg5Si6
Method: DFT, PBE
State: optimized geometry

## Properties
Spin magnetization in μB per cell: 0.00
Space-group type: P1 (1)
Energy relative to the elements in meV/atom: 130.3
E (MP2020) in eV per atom: -3.5564

a b c (Å): 5.5517 5.7051 13.2269
angles (deg): 98.82 99.38 92.01
Last column: nearest neighbours and their distance in Å.
Positions (direct):
Mg 0.1866 0.8414 0.0629  6 Si 2.78-3.07
Mg 0.1651 0.5506 0.3621  5 Si 2.71-3.01, 1 Mg 2.98
Mg 0.0211 0.8850 0.5727  6 Si 2.85-3.17
Mg 0.4686 0.1475 0.4685  4 Si 2.76-2.81
+++
### So much for the materials data

Prior to governments’ agreement on the final draft political declaration, the UN Secretary-General issued a progress report on the implementation of the VPoA. It notes mixed progress in the priority areas of the VPoA, and contains recommendations for accelerating implementation over the next five years.

The two-day review meeting is expected to include an opening segment, plenary meetings, two interactive panels and a closing segment. The interactive panels should address: ‘promoting trade, trade facilitation and structural economic transformation in Landlocked Developing Countries,’ and ‘regional integration and infrastructure connectivity.’ [Final Draft Political Declaration] [SDG Knowledge Hub Story on consultation process]